**Entries:**
Computed powder X-ray diffraction pattern
Compound: Sb4O5F2
Radiation: Cu Kα (λ = 1.5418 Å)
Structure: a structure optimized by DFT (PBE)
No peak broadening, texture or thermal motion is included.

The 6 most intense peaks (10 to 80 degrees two-theta), sorted by position:
d = 3.589 Å, intensity 58, (0 1 3)
d = 3.073 Å, intensity 27, (3 0 -3)
d = 3.039 Å, intensity 100, (3 1 0)
d = 2.956 Å, intensity 66, (1 1 -4)
d = 2.811 Å, intensity 30, (0 2 0)
d = 2.074 Å, intensity 26, (3 2 -3)

Atomic structure:
```
Sb4O5F2
1.0
10.941 0.000 0.000
0.000 5.622 0.000
-2.002 0.000 13.986
Sb O F
16 20 8
Direct
0.066 0.000 0.424
0.099 0.001 0.704
0.207 0.542 0.179
0.267 0.450 0.907
0.302 0.453 0.627
0.356 0.038 0.310
0.395 0.909 0.040
0.417 0.942 0.774
0.583 0.442 0.226
0.605 0.409 0.960
0.644 0.538 0.690
0.698 0.953 0.373
0.733 0.950 0.093
0.793 0.042 0.821
0.901 0.501 0.296
0.934 0.500 0.576
0.040 0.792 0.586
0.075 0.271 0.604
0.254 0.781 0.712
0.268 0.235 0.736
0.303 0.582 0.044
0.326 0.280 0.208
0.337 0.792 0.209
0.392 0.769 0.900
0.429 0.264 0.921
0.463 0.586 0.705
0.537 0.086 0.295
0.571 0.764 0.079
0.608 0.269 0.100
0.663 0.292 0.791
0.674 0.780 0.792
0.697 0.082 0.956
0.732 0.735 0.264
0.746 0.281 0.288
0.925 0.771 0.396
0.960 0.292 0.414
0.080 0.024 0.281
0.191 0.551 0.324
0.198 0.132 0.957
0.418 0.179 0.595
0.582 0.679 0.405
0.802 0.632 0.043
0.809 0.051 0.676
0.920 0.524 0.719
```

----------

[1]
Diffraction record for Ho5In4Pt2. The powder diffractogram is theoretical, not measured: it uses a structure optimized by DFT (PBE) and Cu Kα, 1.54184 Å.
Peak positions follow from Bragg's law for the DFT cell and can differ from measured ones.

Structure:
a b c (Å): 8.160 18.237 3.607
angles (deg): 90.00 90.00 90.00
Space group Pbam (No. 55)
Inequivalent atoms, fractional coordinates:
Ho1 0.000 0.000 0.000 x2
Ho2 0.117 0.414 0.000 x4
Ho3 0.244 0.220 0.000 x4
In1 0.076 0.850 0.500 x4
In2 0.208 0.567 0.500 x4
Pt1 0.024 0.303 0.500 x4

Peak list (10 most intense, 15 to 90 degrees two-theta, sorted by position)
index, 2θ/deg, d [Å], Rel. int.
1 3 0, 18.2, 4.875, 19
1 4 1, 33.5, 2.673, 79
3 2 0, 34.4, 2.606, 36
2 2 1, 34.6, 2.591, 100
1 7 0, 36.2, 2.482, 50
2 3 1, 36.4, 2.469, 28
1 5 1, 36.7, 2.447, 52
2 6 0, 36.9, 2.437, 23
0 0 2, 50.6, 1.803, 27
5 1 1, 62.7, 1.482, 29


[2]
Diffraction record for TbSi2Rh2. The powder diffractogram is theoretical, not measured: it uses a structure optimized by DFT (PBE) and Cu Kα, 1.54184 Å.
Peak positions follow from Bragg's law for the DFT cell and can differ from measured ones.

Structure:
a b c (Å): 4.072 4.072 10.017
angles (deg): 90.00 90.00 90.00
Space group I4/mmm (No. 139)
Inequivalent atoms, fractional coordinates:
Tb1 0.000 0.000 0.000 x2
Si1 0.000 0.000 0.378 x4
Rh1 0.000 0.500 0.250 x4

Peak list (10 most intense, 15 to 90 degrees two-theta, sorted by position)
index, 2θ/deg, d [Å], Rel. int.
1 0 1, 23.6, 3.772, 28
1 0 3, 34.7, 2.582, 30
0 0 4, 35.9, 2.504, 18
1 1 2, 36.0, 2.496, 100
2 0 0, 44.5, 2.036, 36
2 1 3, 57.7, 1.599, 14
2 0 4, 58.4, 1.580, 17
1 1 6, 64.5, 1.444, 17
2 2 0, 64.7, 1.440, 12
3 1 2, 76.3, 1.247, 30


[3]
Diffraction record for K2Te2Pt. The powder diffractogram is theoretical, not measured: it uses a structure optimized by DFT (PBE) and Cu Kα, 1.54184 Å.
Peak positions follow from Bragg's law for the DFT cell and can differ from measured ones.

Structure:
a b c (Å): 4.032 7.972 10.491
angles (deg): 90.00 90.00 90.00
Space group Immm (No. 71)
Inequivalent atoms, fractional coordinates:
K1 0.000 0.000 0.207 x4
Te1 0.000 0.220 0.500 x4
Pt1 0.000 0.500 0.000 x2

Peak list (10 most intense, 15 to 90 degrees two-theta, sorted by position)
index, 2θ/deg, d [Å], Rel. int.
0 0 2, 16.9, 5.245, 85
0 1 3, 27.9, 3.202, 34
1 1 2, 30.1, 2.967, 29
1 2 1, 32.7, 2.736, 100
0 0 4, 34.2, 2.623, 26
1 2 3, 41.0, 2.202, 36
1 3 2, 44.3, 2.043, 33

**Assignment:**
Reproduce everything earlier on with every line break kept.

**Outcome:**
Computed powder X-ray diffraction pattern
Compound: Sb4O5F2
Radiation: Cu Kα (λ = 1.5418 Å)
Structure: a structure optimized by DFT (PBE)
No peak broadening, texture or thermal motion is included.

The 6 most intense peaks (10 to 80 degrees two-theta), sorted by position:
d = 3.589 Å, intensity 58, (0 1 3)
d = 3.073 Å, intensity 27, (3 0 -3)
d = 3.039 Å, intensity 100, (3 1 0)
d = 2.956 Å, intensity 66, (1 1 -4)
d = 2.811 Å, intensity 30, (0 2 0)
d = 2.074 Å, intensity 26, (3 2 -3)

Atomic structure:
```
Sb4O5F2
1.0
10.941 0.000 0.000
0.000 5.622 0.000
-2.002 0.000 13.986
Sb O F
16 20 8
Direct
0.066 0.000 0.424
0.099 0.001 0.704
0.207 0.542 0.179
0.267 0.450 0.907
0.302 0.453 0.627
0.356 0.038 0.310
0.395 0.909 0.040
0.417 0.942 0.774
0.583 0.442 0.226
0.605 0.409 0.960
0.644 0.538 0.690
0.698 0.953 0.373
0.733 0.950 0.093
0.793 0.042 0.821
0.901 0.501 0.296
0.934 0.500 0.576
0.040 0.792 0.586
0.075 0.271 0.604
0.254 0.781 0.712
0.268 0.235 0.736
0.303 0.582 0.044
0.326 0.280 0.208
0.337 0.792 0.209
0.392 0.769 0.900
0.429 0.264 0.921
0.463 0.586 0.705
0.537 0.086 0.295
0.571 0.764 0.079
0.608 0.269 0.100
0.663 0.292 0.791
0.674 0.780 0.792
0.697 0.082 0.956
0.732 0.735 0.264
0.746 0.281 0.288
0.925 0.771 0.396
0.960 0.292 0.414
0.080 0.024 0.281
0.191 0.551 0.324
0.198 0.132 0.957
0.418 0.179 0.595
0.582 0.679 0.405
0.802 0.632 0.043
0.809 0.051 0.676
0.920 0.524 0.719
```

----------

[1]
Diffraction record for Ho5In4Pt2. The powder diffractogram is theoretical, not measured: it uses a structure optimized by DFT (PBE) and Cu Kα, 1.54184 Å.
Peak positions follow from Bragg's law for the DFT cell and can differ from measured ones.

Structure:
a b c (Å): 8.160 18.237 3.607
angles (deg): 90.00 90.00 90.00
Space group Pbam (No. 55)
Inequivalent atoms, fractional coordinates:
Ho1 0.000 0.000 0.000 x2
Ho2 0.117 0.414 0.000 x4
Ho3 0.244 0.220 0.000 x4
In1 0.076 0.850 0.500 x4
In2 0.208 0.567 0.500 x4
Pt1 0.024 0.303 0.500 x4

Peak list (10 most intense, 15 to 90 degrees two-theta, sorted by position)
index, 2θ/deg, d [Å], Rel. int.
1 3 0, 18.2, 4.875, 19
1 4 1, 33.5, 2.673, 79
3 2 0, 34.4, 2.606, 36
2 2 1, 34.6, 2.591, 100
1 7 0, 36.2, 2.482, 50
2 3 1, 36.4, 2.469, 28
1 5 1, 36.7, 2.447, 52
2 6 0, 36.9, 2.437, 23
0 0 2, 50.6, 1.803, 27
5 1 1, 62.7, 1.482, 29


[2]
Diffraction record for TbSi2Rh2. The powder diffractogram is theoretical, not measured: it uses a structure optimized by DFT (PBE) and Cu Kα, 1.54184 Å.
Peak positions follow from Bragg's law for the DFT cell and can differ from measured ones.

Structure:
a b c (Å): 4.072 4.072 10.017
angles (deg): 90.00 90.00 90.00
Space group I4/mmm (No. 139)
Inequivalent atoms, fractional coordinates:
Tb1 0.000 0.000 0.000 x2
Si1 0.000 0.000 0.378 x4
Rh1 0.000 0.500 0.250 x4

Peak list (10 most intense, 15 to 90 degrees two-theta, sorted by position)
index, 2θ/deg, d [Å], Rel. int.
1 0 1, 23.6, 3.772, 28
1 0 3, 34.7, 2.582, 30
0 0 4, 35.9, 2.504, 18
1 1 2, 36.0, 2.496, 100
2 0 0, 44.5, 2.036, 36
2 1 3, 57.7, 1.599, 14
2 0 4, 58.4, 1.580, 17
1 1 6, 64.5, 1.444, 17
2 2 0, 64.7, 1.440, 12
3 1 2, 76.3, 1.247, 30


[3]
Diffraction record for K2Te2Pt. The powder diffractogram is theoretical, not measured: it uses a structure optimized by DFT (PBE) and Cu Kα, 1.54184 Å.
Peak positions follow from Bragg's law for the DFT cell and can differ from measured ones.

Structure:
a b c (Å): 4.032 7.972 10.491
angles (deg): 90.00 90.00 90.00
Space group Immm (No. 71)
Inequivalent atoms, fractional coordinates:
K1 0.000 0.000 0.207 x4
Te1 0.000 0.220 0.500 x4
Pt1 0.000 0.500 0.000 x2

Peak list (10 most intense, 15 to 90 degrees two-theta, sorted by position)
index, 2θ/deg, d [Å], Rel. int.
0 0 2, 16.9, 5.245, 85
0 1 3, 27.9, 3.202, 34
1 1 2, 30.1, 2.967, 29
1 2 1, 32.7, 2.736, 100
0 0 4, 34.2, 2.623, 26
1 2 3, 41.0, 2.202, 36
1 3 2, 44.3, 2.043, 33